(Brief)
It remains to find the line below that holds "37.13", then transcribe that line and all lines after it there.

(Given)
********
Starting from a crystal structure in Alexandria, relaxed with PBE, the X-ray powder pattern of FeMo2 was simulated for Cu Kα X-rays.
Neutral-atom scattering factors, no anomalous dispersion.

Crystal structure
abc: 6.581 6.581 4.340
angles: 90.00 90.00 152.27
Positions (direct):
Fe (0.085, 0.915, 0.750)
Fe (0.915, 0.085, 0.250)
Mo (0.247, 0.753, 0.250)
Mo (0.422, 0.578, 0.750)
Mo (0.578, 0.422, 0.250)
Mo (0.753, 0.247, 0.750)

Top 10 peaks for 10 to 80 degrees two-theta, by intensity:
2θ/deg, d/Å, I (rel.)
41.25, 2.189, 100
41.62, 2.170, 24
42.44, 2.130, 23
75.70, 1.256, 16
60.95, 1.520, 15
76.84, 1.241, 14
58.54, 1.577, 9
74.37, 1.276, 8
74.94, 1.267, 8
24.80, 3.590, 3


This entry pairs a crystal structure of MnAg3P with its simulated powder XRD pattern. Radiation: CuKα. Structure: a crystal structure in Alexandria, relaxed with GGA-PBE.

Cell and atoms:
a = 4.7574 Å, b = 4.7574 Å, c = 4.7574 Å
α = 90.00°, β = 90.00°, γ = 90.00°
Space group Pm-3m (No. 221)
Asymmetric unit:
Mn 0.0000 0.0000 0.0000 x1
Ag 0.0000 0.5000 0.5000 x3
P 0.5000 0.5000 0.5000 x1

Principal peaks in the range 2θ = 5–70°, by intensity:
d/Å, I (rel.)
2.747, 100
2.379, 68
1.682, 44
1.434, 37
4.757, 18
1.373, 14

This entry pairs a crystal structure of Mn2AgPb with its simulated powder XRD pattern. Radiation: CuKα. Structure: a crystal structure in Alexandria, relaxed with GGA-PBE.

Cell and atoms:
a = 3.1708 Å, b = 3.1798 Å, c = 7.5623 Å
α = 90.00°, β = 90.10°, γ = 90.00°
Space group Pm (No. 6)
Asymmetric unit:
Mn 0.0000 0.0000 0.0000 x1
Mn 0.4981 0.5000 0.8009 x1
Ag 0.5016 0.5000 0.2160 x1
Pb 0.9982 0.0000 0.5291 x1

Principal peaks in the range 2θ = 5–70°, by intensity:
d/Å, I (rel.)
2.432, 100
2.245, 46
2.928, 45
7.562, 22
1.677, 16
2.521, 14

This entry pairs a crystal structure of ZrMnAgPd2 with its simulated powder XRD pattern. Radiation: CuKα. Structure: a crystal structure in Alexandria, relaxed with GGA-PBE.

Cell and atoms:
a = 4.5257 Å, b = 4.5257 Å, c = 4.7589 Å
α = 90.00°, β = 90.00°, γ = 90.00°
Space group P4/mmm (No. 123)
Asymmetric unit:
Zr 0.0000 0.0000 0.0000 x1
Mn 0.5000 0.5000 0.5000 x1
Ag 0.5000 0.5000 0.0000 x1
Pd 0.0000 0.5000 0.5000 x2

Principal peaks in the range 2θ = 5–70°, by intensity:
d/Å, I (rel.)
2.656, 100
2.263, 54
1.640, 38
2.379, 31
1.371, 25
1.600, 17


# Li4Co3O7
Theoretical XRD peak list, Cu Kα (weighted mean of Kα1 and Kα2). Input: a structure optimized by DFT (GGA+U).
Peak positions follow from Bragg's law for the DFT cell and can differ from measured ones.

Top 10 peaks for 10 to 90 degrees two-theta, low angle first:
2theta	I (rel.)	hkl
18.78	100	1 0 0
37.06	25	0 2 -3
37.13	12	0 3 -1
38.74	11	1 -3 1
44.78	50	1 -2 3
44.95	25	1 3 -1
49.06	8	1 1 2
64.87	7	3 2 -3
65.69	13	1 1 -5
65.79	7	0 5 -4

Cell and atoms:
Unit cell a=5.0085 b=7.5114 c=7.5180 alpha=119.92 beta=102.41 gamma=96.38
Element x y z (fractional)
Li  0.0000  0.0000  0.0000
Li  0.0006  0.4242  0.2854
Li  0.0074  0.1328  0.4216
Li  0.0145  0.7249  0.1514
Li  0.5000  0.0000  0.5000
Li  0.9855  0.2751  0.8486
Li  0.9926  0.8672  0.5784
Li  0.9994  0.5758  0.7146
Co  0.4978  0.4226  0.7812
Co  0.4999  0.1419  0.9271
Co  0.5001  0.2849  0.3578
Co  0.4999  0.7151  0.6422
Co  0.5001  0.8581  0.0729
Co  0.5022  0.5774  0.2188
O  0.2731  0.0066  0.2436
O  0.2741  0.1643  0.7001
O  0.2799  0.4314  0.5436
O  0.2798  0.6988  0.3894
O  0.2825  0.8621  0.8269
O  0.2844  0.5769  0.9722
O  0.2884  0.2976  0.1182
O  0.7116  0.7024  0.8818
O  0.7156  0.4231  0.0278
O  0.7175  0.1379  0.1731
O  0.7202  0.3012  0.6106
O  0.7201  0.5686  0.4564
O  0.7259  0.8357  0.2999
O  0.7269  0.9934  0.7564


For In8BiPb3, a DFT-relaxed cell (PBE, Alexandria) gives the theoretical powder diffractogram in this record (Cu Ka).

Structural model:
abc: 7.691 7.691 5.963
angles: 90.15 90.15 96.76
Element x y z (fractional)
In 0.085 0.085 0.252
In 0.085 0.588 0.502
In 0.247 0.251 0.743
In 0.411 0.418 0.252
In 0.412 0.915 0.498
In 0.582 0.589 0.748
In 0.749 0.753 0.257
In 0.915 0.915 0.748
********

(Done)
37.13	12	0 3 -1
38.74	11	1 -3 1
44.78	50	1 -2 3
44.95	25	1 3 -1
49.06	8	1 1 2
64.87	7	3 2 -3
65.69	13	1 1 -5
65.79	7	0 5 -4

Cell and atoms:
Unit cell a=5.0085 b=7.5114 c=7.5180 alpha=119.92 beta=102.41 gamma=96.38
Element x y z (fractional)
Li  0.0000  0.0000  0.0000
Li  0.0006  0.4242  0.2854
Li  0.0074  0.1328  0.4216
Li  0.0145  0.7249  0.1514
Li  0.5000  0.0000  0.5000
Li  0.9855  0.2751  0.8486
Li  0.9926  0.8672  0.5784
Li  0.9994  0.5758  0.7146
Co  0.4978  0.4226  0.7812
Co  0.4999  0.1419  0.9271
Co  0.5001  0.2849  0.3578
Co  0.4999  0.7151  0.6422
Co  0.5001  0.8581  0.0729
Co  0.5022  0.5774  0.2188
O  0.2731  0.0066  0.2436
O  0.2741  0.1643  0.7001
O  0.2799  0.4314  0.5436
O  0.2798  0.6988  0.3894
O  0.2825  0.8621  0.8269
O  0.2844  0.5769  0.9722
O  0.2884  0.2976  0.1182
O  0.7116  0.7024  0.8818
O  0.7156  0.4231  0.0278
O  0.7175  0.1379  0.1731
O  0.7202  0.3012  0.6106
O  0.7201  0.5686  0.4564
O  0.7259  0.8357  0.2999
O  0.7269  0.9934  0.7564


For In8BiPb3, a DFT-relaxed cell (PBE, Alexandria) gives the theoretical powder diffractogram in this record (Cu Ka).

Structural model:
abc: 7.691 7.691 5.963
angles: 90.15 90.15 96.76
Element x y z (fractional)
In 0.085 0.085 0.252
In 0.085 0.588 0.502
In 0.247 0.251 0.743
In 0.411 0.418 0.252
In 0.412 0.915 0.498
In 0.582 0.589 0.748
In 0.749 0.753 0.257
In 0.915 0.915 0.748